**What to do:**
Your job: start at the top of the rows underneath and duplicate each line, ending with the one that has "4.61 kcal/mol".

**File:**
=====
No. 1
# PBE La2AlO, optimized geometry
data_La2AlO
_cell_length_a 7.248
_cell_length_b 7.248
_cell_length_c 6.548
_cell_angle_alpha 56.39
_cell_angle_beta 56.39
_cell_angle_gamma 90.00
_symmetry_space_group_name_H-M 'P 1'
_symmetry_Int_Tables_number 1
_symmetry_space_group_name_Hall 'P 1'
loop_
_atom_site_label
_atom_site_fract_x
_atom_site_fract_y
_atom_site_fract_z
Al1 0.000 0.000 0.000
La1 0.375 0.467 0.750
La2 0.875 0.783 0.750
Al2 0.750 0.250 0.500
La3 0.217 0.625 0.250
O1 0.250 0.750 0.500
O2 0.500 0.500 0.000
La4 0.533 0.125 0.250
# formation energy without anion corrections = -1.376 eV/atom
# excess energy over the best structure of this formula in the dataset = 38 meV/atom
# symmetry = No. 122
# final energy = -6.02 eV/atom



No. 2
# PBE La3AlO, optimized geometry
data_La3AlO
_cell_length_a 4.678
_cell_length_b 4.678
_cell_length_c 16.183
_cell_angle_alpha 90.00
_cell_angle_beta 90.00
_cell_angle_gamma 120.00
_symmetry_space_group_name_H-M 'P 1'
_symmetry_Int_Tables_number 1
_symmetry_space_group_name_Hall 'P 1'
loop_
_atom_site_label
_atom_site_fract_x
_atom_site_fract_y
_atom_site_fract_z
Al1 0.333 0.667 0.750
La1 0.667 0.333 0.437
O1 0.000 0.000 0.500
La2 0.333 0.667 0.563
Al2 0.667 0.333 0.250
La3 0.000 0.000 0.750
La4 0.667 0.333 0.063
La5 0.000 0.000 0.250
O2 0.000 0.000 0.000
La6 0.333 0.667 0.937
# formation energy without anion corrections = -0.292 eV/atom
# symmetry = No. 194
# final energy = -4.99 eV/atom


Record 1
The following is a DFT calculation (PBE) of ReSb2PI after structural relaxation.

a b c (Å): 5.668 5.068 5.668
angles (deg): 90.00 90.00 90.00
Site moments in Bohr magnetons follow the coordinates.
Positions (direct):
Sb1 0.500 0.000 0.000  -0.15
Sb2 0.000 0.000 0.500  -0.19
I1 0.000 0.000 0.000  -0.01
P1 0.000 0.500 0.000  -0.10
Re1 0.500 0.500 0.500  3.59

Formation energy (no corrections)   2.24 eV per atom



Record 2
The following is a DFT calculation (PBE) of CrFeCu after structural relaxation.

a b c (Å): 4.384 4.384 4.384
angles (deg): 147.44 129.34 61.52
Site moments in Bohr magnetons follow the coordinates.
Positions (direct):
Cu1 0.333 0.333 0.000  -0.02
Cr1 0.999 0.999 0.000  -1.03
Fe1 0.668 0.668 0.000  1.93

Energy of formation from the pure elements   4.61 kcal/mol of atoms



Record 3
The following is a DFT calculation (PBE) of Mg5Mn3 after structural relaxation.

a b c (Å): 8.105 8.105 5.390
angles (deg): 90.00 90.00 120.01
Site moments in Bohr magnetons follow the coordinates.
Positions (direct):
Mg1 0.000 0.244 0.250  -0.03
Mg2 0.756 0.000 0.750  -0.03
Mg3 0.244 0.244 0.750  -0.03
Mg4 0.667 0.333 0.500  -0.04
Mg5 0.333 0.667 0.500  -0.04
Mg6 0.000 0.756 0.750  -0.03
Mg7 0.244 0.000 0.250  -0.03
Mg8 0.333 0.667 0.000  -0.04
Mg9 0.667 0.333 0.000  -0.04
Mg10 0.756 0.756 0.250  -0.03
Mn1 0.410 0.410 0.250  3.48
Mn2 0.000 0.410 0.750  3.48
Mn3 0.410 0.000 0.750  3.48
Mn4 0.590 0.590 0.750  3.48
Mn5 0.590 0.000 0.250  3.48
Mn6 0.000 0.590 0.250  3.48

Energy of formation from the pure elements   7.29 kcal/mol of atoms



Record 4
The following is a DFT calculation (PBE) of CeMgInPt after structural relaxation.

a b c (Å): 5.006 5.006 5.006
angles (deg): 60.00 60.00 60.00
Site moments in Bohr magnetons follow the coordinates.
Positions (direct):
Mg1 0.250 0.250 0.250  0.00
Ce1 0.750 0.750 0.750  0.47
Pt1 0.000 0.000 0.000  0.00
In1 0.500 0.500 0.500  0.01

Energy of formation from the pure elements   -13.06 kcal/mol of atoms



Respective V values: 32.57, 11.57, 19.17, 22.18 Å³/atom.


No. 1
A relaxed structure of Hf6RhN3. Source: Alexandria, functional PBE.

a b c (Å): 3.2027 11.5245 9.9648
angles (deg): 124.08 90.00 90.00
Last column: nearest neighbours and their distance in Å.
Positions (direct):
Hf 0.7500 0.4464 0.6017  3 N 2.30-2.38
Hf 0.2500 0.5536 0.3983  3 N 2.30-2.38
Hf 0.7500 0.9475 0.0908  3 N 2.20-2.24
Hf 0.2500 0.0525 0.9092  3 N 2.20-2.24
Hf 0.7500 0.3332 0.0972  3 N 2.21-2.24
Hf 0.2500 0.6668 0.9028  3 N 2.21-2.24
Hf 0.7500 0.6304 0.1691  4 N 2.21-2.43
=====

**Reply:**
No. 1
# PBE La2AlO, optimized geometry
data_La2AlO
_cell_length_a 7.248
_cell_length_b 7.248
_cell_length_c 6.548
_cell_angle_alpha 56.39
_cell_angle_beta 56.39
_cell_angle_gamma 90.00
_symmetry_space_group_name_H-M 'P 1'
_symmetry_Int_Tables_number 1
_symmetry_space_group_name_Hall 'P 1'
loop_
_atom_site_label
_atom_site_fract_x
_atom_site_fract_y
_atom_site_fract_z
Al1 0.000 0.000 0.000
La1 0.375 0.467 0.750
La2 0.875 0.783 0.750
Al2 0.750 0.250 0.500
La3 0.217 0.625 0.250
O1 0.250 0.750 0.500
O2 0.500 0.500 0.000
La4 0.533 0.125 0.250
# formation energy without anion corrections = -1.376 eV/atom
# excess energy over the best structure of this formula in the dataset = 38 meV/atom
# symmetry = No. 122
# final energy = -6.02 eV/atom



No. 2
# PBE La3AlO, optimized geometry
data_La3AlO
_cell_length_a 4.678
_cell_length_b 4.678
_cell_length_c 16.183
_cell_angle_alpha 90.00
_cell_angle_beta 90.00
_cell_angle_gamma 120.00
_symmetry_space_group_name_H-M 'P 1'
_symmetry_Int_Tables_number 1
_symmetry_space_group_name_Hall 'P 1'
loop_
_atom_site_label
_atom_site_fract_x
_atom_site_fract_y
_atom_site_fract_z
Al1 0.333 0.667 0.750
La1 0.667 0.333 0.437
O1 0.000 0.000 0.500
La2 0.333 0.667 0.563
Al2 0.667 0.333 0.250
La3 0.000 0.000 0.750
La4 0.667 0.333 0.063
La5 0.000 0.000 0.250
O2 0.000 0.000 0.000
La6 0.333 0.667 0.937
# formation energy without anion corrections = -0.292 eV/atom
# symmetry = No. 194
# final energy = -4.99 eV/atom


Record 1
The following is a DFT calculation (PBE) of ReSb2PI after structural relaxation.

a b c (Å): 5.668 5.068 5.668
angles (deg): 90.00 90.00 90.00
Site moments in Bohr magnetons follow the coordinates.
Positions (direct):
Sb1 0.500 0.000 0.000  -0.15
Sb2 0.000 0.000 0.500  -0.19
I1 0.000 0.000 0.000  -0.01
P1 0.000 0.500 0.000  -0.10
Re1 0.500 0.500 0.500  3.59

Formation energy (no corrections)   2.24 eV per atom



Record 2
The following is a DFT calculation (PBE) of CrFeCu after structural relaxation.

a b c (Å): 4.384 4.384 4.384
angles (deg): 147.44 129.34 61.52
Site moments in Bohr magnetons follow the coordinates.
Positions (direct):
Cu1 0.333 0.333 0.000  -0.02
Cr1 0.999 0.999 0.000  -1.03
Fe1 0.668 0.668 0.000  1.93

Energy of formation from the pure elements   4.61 kcal/mol of atoms